If you are looking for Mr. Right, your perfect man, the "dream life", STOP. You are wasting precious time and resources on something that will not be. There are no real life Prince Charmings because just like you, the man you want to meet has faults. Life is not a Hollywood script, so do not discount an otherwise good person based on the fact they do not say the perfect thing at the perfect time. This is not Jerry Maguire, this is real life. Often times we remain single because our list of expectations becomes longer and longer as we age (and in some respects, it should) and because we begin to shrink our social circle. UPS will not deliver Mr. Right to your door via FedEx by 10:30am, you have to get out there. And if you want to find like-minded people, you need to join in activities and social circles where you're likely to find that.
If you are in a relationship or in the blossoming phases of one and experiencing "difficulties" such as a sudden withdrawal by the other person, do not always jump to the conclusion that it is because of you. Even if you are the center of someone's universe, they do have other responsibilities, other things that weigh on them. It may be the simple fact they're the type that needs time to themselves. It may be that you are expecting things to move along at freight train speed when the relationship wants to take a different pace, a pace of its' own. Do not always assume relationship problems are because of you, remember, there's not only another person in this relationship, there's also other people in the world.
Monday, April 26, 2010
Hollywood and Story Books Lied- Why Am I Single?
Posted by Lady of the Mists--Live Person Advice Expert at 4/26/2010 07:02:00 AM 0 comments
Sunday, April 25, 2010
Dr. Seuess Had It Right....
My youngest child is fascinated by the book, Oh! The Places You'll Go! and in this book, so much wisdom can be found, especially for those of you who are in what Dr. Seuess calls, The Waiting Place. Granted, it is not a fun place to be, I do not know of many who like to be there, and waiting out The Waiting Place can take anywhere from a few hours to a few years. Yes, years. Sometimes things take years to get them where you want them to be. Two key things The Waiting Place always requires are patience and a willingness to focus and work on other things (or sometimes that particular goal) while you are there. Remember, even if you are not working on the specific thing you are caught up in The Waiting Place for, there is always something you can be doing to enrich, improve, to better your life be it financially, emotionally, or spiritually.
I am often met by clients who are frustrated that their desires/issues cannot or will not be fixed in a short period of time, usually meaning a few days. First, remember that most situations or issues did not develop in a few days (even if they were suddenly sprung upon you) and rarely can they be fixed in that amount of time. Do not be unrealistic about how long it takes to resolve a matter. Also, do not invest fruitless effort(s) into things/people/places that are not healthy for you. While in that place of waiting, evaluate, truly evaluate, from a removed perspective, the usefulness of that thing or person you are waiting on and be honest with yourself: is it worth the waiting, the time invest by you, the investment of effort by you? The most essential lessons you can take from this are, one: psychics are not the answer to all your problems. Visiting us does not mean your problems will be solved and certainly not instantly. We simply offer you a view of the future based on a snippet you give us. Secondly, there are times you will be in The Waiting Place. Accept that in this "on demand world", "waiting is something you'll do quite a lot" (Dr. Seuss, Oh The Places You'll Go)
Posted by Lady of the Mists--Live Person Advice Expert at 4/25/2010 08:22:00 AM 0 comments
Saturday, April 17, 2010
Being the "other" Person
Being in a proverbial "love triangle" is a complicated situation. There are many reasons people cheat and choose to cheat with people they know are married. Those reasons can range from lust to feeling a true connection with that person. However, all too often, the "third wheel" is left waiting, hoping, clinging to the "some day" that will never come.
After doing some reading on this subject from some wise people, I have come to conclude the "why" of a person choosing someone already taken. I proffer that it is usually because a) they either lack self-esteem and feel this is more of a "safe relationship" (if you can call it a relationship) or b) they are actually afraid of a real relationship, real committment, their real dream, even though they will tell you they want the whole nine yards: marriage, bliss, sometimes kids, the perfect home, with the perfect man.
Without judging why people cheat on their spouses, for one, the person is not so perfect if they are inclined to cheat. Secondly, with rare exception, you can bet if this person ever left their spouse for you, they would still have roaming, wondering eye. Which leads me to the most important piece of this article, the waiting game. Promises of leaving, plans made, the third person believes it is all hammered out. The other spouse is a shrew or horrible man, the divorce papers are pending and/or signed, all that is left is for things to be finalized.
The problem is days stretch into weeks, weeks stretch into months, and months stretch into years and yet you still hold onto the illusion of being with this "perfect" person. Now, having read all of this, step back, examine this person. Are they really so perfect? Are they really for you? What about the time you could have been open to someone kind, loving, caring, reading for a serious committment that was available to be yours.
Consider also the collateral fallout. What about the spouse, that husband or wife who is being betrayed, being cheated on. Are they really as bad as the person paints them to be? Even if you have witnessed them in action, you have only glimpsed a small part of who they are. Do you really think it likely the cheating spouse is going to say, "Oh yes, my spouse is the perfect person! That's why I'm here with you. What about children, relatives, jobs, homes and mortgages, debts, all of these things that you turn butt over tea kettle by being the "other person".
Bottom line, until that spouse is free, they are not yours to have and the real truth behind being the third person is this: You are likely to always to be second fiddle, you have no right to expect to be first. That means you have no right to be angry over missed "dates", phone calls, unreturned texts, e-mails, etc because you are just that, no matter what they say, you are second fiddle and their spouse, children, families, jobs, etc are all before you.
**The page is interrupted by records of molecules**
┌──
<A>
{
  "formula": "CH4N2OS",
  "method": "ωB97M-V with the def2-TZVPD basis set",
  "orbital_gap_ev": 10.45,
  "e_homo_ev": -9.7,
  "smiles": "NC(=O)NS",
  "charge": 0,
  "lumo_energy_ev": 0.76,
  "elements": ["S", "O", "N", "N", "C", "H", "H", "H", "H"],
  "xyz": [[-2.05, -0.04, 0.00], [1.59, -1.04, 0.16], [-0.58, -0.75, -0.45], [0.91, 1.11, -0.10], [0.72, -0.23, -0.08], [-2.02, -0.39, 1.29], [-0.56, -1.78, -0.55], [1.83, 1.49, 0.15], [0.15, 1.63, -0.42]]
}

<B>
{
  "formula": "CH4N2OS",
  "method": "ωB97M-V with the def2-TZVPD basis set",
  "orbital_gap_ev": 8.97,
  "e_homo_ev": -8.4,
  "charge": 0,
  "lumo_energy_ev": 0.61,
  "elements": ["S", "O", "N", "N", "C", "H", "H", "H", "H"],
  "xyz": [[-1.18, -1.59, 0.58], [1.84, 0.88, -0.64], [0.16, -0.68, 0.90], [-0.38, 1.29, -0.54], [0.75, 0.73, -0.30], [-1.13, 0.88, 0.06], [-0.57, -2.56, -0.33], [-0.40, 2.25, -0.88], [0.90, -1.20, 1.16]]
}

Stability ranking, top and bottom: <A> is the most stable and <B> is the least stable.

<A>
{
  "formula": "C4H11OP",
  "method": "ωB97M-V with the def2-TZVPD basis set",
  "orbital_gap_ev": 9.65,
  "e_homo_ev": -8.6,
  "charge": 0,
  "lumo_energy_ev": 1.06,
  "elements": ["P", "O", "C", "C", "C", "C", "H", "H", "H", "H", "H", "H", "H", "H", "H", "H", "H"],
  "xyz": [[-0.40, -0.77, 0.10], [-0.85, -2.11, -0.31], [-2.74, 0.03, 0.20], [2.82, -0.37, 0.40], [1.82, -0.16, -0.67], [-1.52, 0.54, -0.60], [-1.75, 0.45, -1.59], [-0.38, -0.52, 1.42], [2.50, -0.95, 1.29], [3.66, -0.86, 0.06], [-1.43, 1.61, -0.19], [-3.14, -0.83, -0.26], [1.54, 0.71, -1.15], [-3.54, 0.66, 0.17], [-2.43, -0.07, 1.32], [1.90, -0.89, -1.37], [3.24, 0.73, 0.64]]
}

<B>
{
  "formula": "C4H11OP",
  "method": "ωB97M-V with the def2-TZVPD basis set",
  "orbital_gap_ev": 10.14,
  "e_homo_ev": -9.3,
  "smiles": "C=CC.CPO",
  "charge": 0,
  "lumo_energy_ev": 0.83,
  "elements": ["P", "O", "C", "C", "C", "C", "H", "H", "H", "H", "H", "H", "H", "H", "H", "H", "H"],
  "xyz": [[-2.15, -1.13, -0.95], [-3.44, -1.37, 0.17], [-1.97, 0.60, -0.24], [2.80, 0.29, -0.01], [2.14, 0.69, 1.31], [2.05, -0.52, -0.75], [1.08, -0.83, -0.40], [-3.02, 1.06, -0.21], [-1.36, 1.15, -0.95], [-3.06, -0.69, -2.08], [3.71, 0.79, -0.29], [2.34, -0.74, -1.78], [-3.69, -2.23, 0.58], [2.58, 0.15, 2.19], [2.45, 1.71, 1.50], [-1.49, 0.60, 0.70], [1.01, 0.49, 1.19]]
}

Stability ranking, top and bottom: <B> is the most stable and <A> is the least stable.

<A>
{
  "formula": "C36H90FeO24P6",
  "method": "ωB97M-V with the def2-TZVPD basis set",
  "spin_multiplicity": 5,
  "orbital_gap_ev": [11.16, 9.32],
  "e_homo_ev": [-14.3, -12.5],
  "charge": 2,
  "lumo_energy_ev": [-3.17, -3.17],
  "s2": 6.0055,
└──
**Here the page continues**
If you want a real relationship, stop chasing the gold at the end of the rainbow, those leprauchons are sneaky buggers. If you are afraid to be truly available, to be in a real relationship, carry on, but remember the very real possible consequences for some people whom you have probably never met. Evaluate your station in this person's life. Honest step back and evaluate the chances of you ever becoming that person's spouse. Then ask yourself, "Knowing what I know, would I really want to be their spouse?" If you ever did become their spouse, think of the train wreck of baggage from what you helped destroy you would be carrying along with you.
If you are the third person, this is not meant to guilt you. It is meant to cause you to stop and think. What is the reality of the situation? Helen Keller once said, People do not like to think. If one thinks, one must reach conclusions. Conclusions are not always pleasant. When you stop and truly step back and examine your situation, what real conclusions do you draw?
Posted by Lady of the Mists--Live Person Advice Expert at 4/17/2010 08:19:00 AM 0 comments